The greatest issue about Prophecy, is that those who follow a Messenger and a book, find it hard to accept that the future Messenger is foretold in a manner they have not considered.
/*
[1]
Starting from a cell relaxed with PBE, the powder X-ray diffraction pattern of RbGaC was simulated for Cu Kα, 1.54184 Å.
No peak broadening, texture or thermal motion is included.

Atomic structure:
Unit cell a=6.5909 b=6.5909 c=6.5909 alpha=47.15 beta=47.15 gamma=47.15
Fractional coordinates of all 6 atoms:
1 Rb 0.1130 0.1130 0.1130
2 Rb 0.8870 0.8870 0.8870
3 Ga 0.3456 0.3456 0.3456
4 Ga 0.6544 0.6544 0.6544
5 C 0.4640 0.4640 0.4640
6 C 0.5360 0.5360 0.5360

Main lines, sorted by position (2θ from 10° to 90°):
two_theta, I_rel
28.22, 95
32.18, 35
34.01, 100
44.76, 27
57.38, 26
58.94, 29
60.87, 17
79.99, 12



[2]
Starting from a cell relaxed with PBE, the powder X-ray diffraction pattern of YGaRu2C was simulated for Cu Kα, 1.54184 Å.
No peak broadening, texture or thermal motion is included.

Atomic structure:
Unit cell a=5.8972 b=5.8972 c=7.3321 alpha=90.00 beta=90.00 gamma=141.17
Fractional coordinates of all 10 atoms:
1 Y 0.0456 0.9544 0.7500
2 Y 0.9544 0.0456 0.2500
3 Ga 0.2317 0.7683 0.2500
4 Ga 0.7683 0.2317 0.7500
5 Ru 0.3371 0.6629 0.5570
6 Ru 0.3371 0.6629 0.9430
7 Ru 0.6629 0.3371 0.0570
8 Ru 0.6629 0.3371 0.4430
9 C 0.5000 0.5000 0.0000
10 C 0.5000 0.5000 0.5000

Main lines, sorted by position (2θ from 10° to 90°):
two_theta, I_rel
33.26, 58
34.46, 100
35.50, 38
40.31, 24
40.72, 21
44.43, 40
46.32, 31
63.08, 21



[3]
Starting from a cell relaxed with PBE, the powder X-ray diffraction pattern of GaC3S was simulated for Cu Kα, 1.54184 Å.
No peak broadening, texture or thermal motion is included.

Atomic structure:
Unit cell a=3.6591 b=3.6591 c=3.6591 alpha=90.00 beta=90.00 gamma=90.00
Fractional coordinates of all 5 atoms:
1 Ga 0.0000 0.0000 0.0000
2 C 0.0000 0.5000 0.5000
3 C 0.5000 0.0000 0.5000
4 C 0.5000 0.5000 0.0000
5 S 0.5000 0.5000 0.5000

Main lines, sorted by position (2θ from 10° to 90°):
two_theta, I_rel
24.33, 9
34.67, 100
42.81, 20
49.84, 33
56.21, 6
62.14, 35
73.16, 19
83.56, 15



[4]
Starting from a cell relaxed with PBE, the powder X-ray diffraction pattern of GaSbC2S was simulated for Cu Kα, 1.54184 Å.
No peak broadening, texture or thermal motion is included.

Atomic structure:
Unit cell a=3.9023 b=3.9023 c=4.9277 alpha=90.00 beta=90.00 gamma=90.00
Fractional coordinates of all 5 atoms:
1 Ga 0.0000 0.0000 0.0000
2 Sb 0.5000 0.5000 0.0000
3 C 0.0000 0.5000 0.5000
4 C 0.5000 0.0000 0.5000
5 S 0.0000 0.0000 0.5000

Main lines, sorted by position (2θ from 10° to 90°):
two_theta, I_rel
18.00, 83
29.19, 39
32.45, 93
36.47, 49
37.35, 100
46.55, 47
49.60, 57
60.53, 41



[5]
Starting from a cell relaxed with PBE, the powder X-ray diffraction pattern of Ga2SbC was simulated for Cu Kα, 1.54184 Å.
No peak broadening, texture or thermal motion is included.

Atomic structure:
Unit cell a=6.4091 b=6.4091 c=6.4091 alpha=128.78 beta=128.78 gamma=75.36
Fractional coordinates of all 8 atoms:
1 Ga 0.0149 0.6250 0.8899
2 Ga 0.3750 0.2649 0.3899
3 Ga 0.7351 0.1250 0.1101
4 Ga 0.8750 0.9851 0.6101
5 Sb 0.2500 0.7500 0.5000
*/
Centuries of worship and practice have set the mind on specific traditions that they see need to be fulfilled. But if we look at the History of religion, God has never miraculously revealed a Messenger so all immediately accept that Messenger. In fact those they say they are believers, usually face the greatest tests of Faith.
This brings us back to the Bible and prophecy.
Attached: records of crystals
~~~
Calculated X-ray powder pattern of SrCa3Si2 for Cu Kα, from a GGA-PBE-relaxed structure.
Lines closer than 0.1° are merged.

The 10 most intense peaks (2θ = 10–90°), low angle first:
| d_spacing | 2θ/deg | I_rel |
| --- | --- | --- |
| 3.062 | 29.2 | 100 |
| 2.973 | 30.1 | 20 |
| 2.902 | 30.8 | 81 |
| 2.826 | 31.7 | 26 |
| 2.573 | 34.9 | 30 |
| 2.519 | 35.6 | 19 |
| 2.441 | 36.8 | 43 |
| 2.271 | 39.7 | 14 |
| 1.847 | 49.3 | 14 |
| 1.619 | 56.9 | 20 |

Cell and atoms:
a = 4.8803 Å, b = 9.0831 Å, c = 7.8650 Å
α = 90.00°, β = 90.00°, γ = 90.00°
Positions (direct):
Sr: 0.0000 0.0704 0.0000
Sr: 0.0000 0.9296 0.5000
Ca: 0.0000 0.3286 0.6310
Ca: 0.0000 0.6714 0.1310
Ca: 0.5000 0.1813 0.3299
Ca: 0.5000 0.4267 0.9571
Ca: 0.5000 0.5733 0.4571
Ca: 0.5000 0.8187 0.8299
Si: 0.0000 0.3581 0.2420
Si: 0.0000 0.6419 0.7420
Si: 0.5000 0.1473 0.7209
Si: 0.5000 0.8527 0.2209

---

Calculated X-ray powder pattern of SrCa2Si6 for Cu Kα, from a GGA-PBE-relaxed structure.
Lines closer than 0.1° are merged.

The 10 most intense peaks (2θ = 10–90°), low angle first:
| d_spacing | 2θ/deg | I_rel |
| --- | --- | --- |
| 6.130 | 14.4 | 9 |
| 3.602 | 24.7 | 6 |
| 3.539 | 25.2 | 10 |
| 2.771 | 32.3 | 100 |
| 2.226 | 40.5 | 15 |
| 2.043 | 44.3 | 35 |
| 1.645 | 55.9 | 19 |
| 1.505 | 61.6 | 25 |
| 1.369 | 68.6 | 10 |
| 1.281 | 74.0 | 16 |

Cell and atoms:
a = 7.0786 Å, b = 7.0786 Å, c = 4.4520 Å
α = 90.00°, β = 90.00°, γ = 120.00°
Positions (direct):
Sr: 0.0000 0.0000 0.0000
Ca: 0.3333 0.6667 0.0000
Ca: 0.6667 0.3333 0.0000
Si: 0.0000 0.3352 0.5000
Si: 0.0000 0.6648 0.5000
Si: 0.3352 0.0000 0.5000
Si: 0.3352 0.3352 0.5000
Si: 0.6648 0.0000 0.5000
Si: 0.6648 0.6648 0.5000

---

Calculated X-ray powder pattern of Sr3CaSi8 for Cu Kα, from a GGA-PBE-relaxed structure.
Lines closer than 0.1° are merged.

The 10 most intense peaks (2θ = 10–90°), low angle first:
| d_spacing | 2θ/deg | I_rel |
| --- | --- | --- |
| 4.599 | 19.3 | 20 |
| 2.918 | 30.6 | 97 |
| 2.908 | 30.7 | 100 |
| 2.669 | 33.6 | 26 |
| 2.657 | 33.7 | 99 |
| 1.962 | 46.3 | 32 |
| 1.747 | 52.4 | 20 |
| 1.738 | 52.7 | 37 |
| 1.629 | 56.5 | 19 |
| 1.208 | 79.3 | 18 |

Cell and atoms:
a = 6.5145 Å, b = 6.5145 Å, c = 6.5145 Å
α = 89.75°, β = 89.75°, γ = 89.75°
Positions (direct):
Sr: 0.0000 0.2501 0.7499
Sr: 0.2501 0.7499 0.0000
Sr: 0.7499 0.0000 0.2501
Ca: 0.5000 0.5000 0.5000
Si: 0.0514 0.6995 0.5475
Si: 0.2068 0.2068 0.2068
Si: 0.3005 0.9486 0.4525
Si: 0.4525 0.3005 0.9486
Si: 0.5475 0.0514 0.6995
Si: 0.6995 0.5475 0.0514
Si: 0.7932 0.7932 0.7932
Si: 0.9486 0.4525 0.3005
~~~
There is indeed 3 Messengers foretold in the Bible thay will appear after Jesus the Christ. The issue is that, there will only be a handful that are ready to accept the advent of a Messenger. Those that do get to view the previous scriptures in the Light of a New Message from Allah, and as a result can see in the past Message more of what was being offered in prophecy.
The entry is interrupted by materials data:
/*
1.
The following is a simulated X-ray diffraction stick pattern of MnMoOsPt. It was derived from a PBE-relaxed structure, using Cu Kα (λ = 1.5418 Å).

Top 10 peaks for 2θ = 10–80°, by intensity:
d [Å]  intensity  h k l
2.096  100  4 0 -2
2.084  65  3 1 -1
2.201  51  4 0 0
4.242  45  0 0 1
2.121  35  0 0 2
2.375  34  1 1 -1
1.382  23  3 1 -3
1.245  18  8 0 -2
2.403  16  2 0 -2
2.609  15  1 1 0

Structure:
Cell: 9.977 2.731 4.806 Å, 90.00 118.04 90.00°
Space group Cm (No. 8)
One atom of each set of equivalent atoms:
Mn: 0.000 0.000 0.000 x2
Mo: 0.254 0.000 0.926 x2
Os: 0.003 0.500 0.503 x2
Pt: 0.252 0.500 0.421 x2

2.
The following is a simulated X-ray diffraction stick pattern of Mn6Mo6P7. It was derived from a PBE-relaxed structure, using Cu Kα (λ = 1.5418 Å).

Top 10 peaks for 2θ = 10–80°, by intensity:
d [Å]  intensity  h k l
2.251  100  2 1 1
3.066  26  1 0 1
2.096  20  3 0 1
1.773  15  1 4 0
1.913  14  2 2 1
1.654  12  0 0 2
2.345  12  2 2 0
1.863  11  1 3 1
1.335  11  1 5 1
1.211  10  5 2 1

Structure:
Cell: 9.3817 9.3817 3.3079 Å, 90.00 90.00 120.00°
Space group P-6 (No. 174)
One atom of each set of equivalent atoms:
Mn: 0.0158 0.7573 0.0000 x3
Mn: 0.2001 0.0110 0.5000 x3
Mo: 0.1315 0.5088 0.0000 x3
Mo: 0.5061 0.3636 0.5000 x3
P: 0.0000 0.0000 0.0000 x1
P: 0.1590 0.7197 0.5000 x3
P: 0.4307 0.1489 0.0000 x3

3.
The following is a simulated X-ray diffraction stick pattern of Mn2MoP12. It was derived from a PBE-relaxed structure, using Cu Kα (λ = 1.5418 Å).

Top 10 peaks for 2θ = 10–80°, by intensity:
d [Å]  intensity  h k l
2.568  100  4 0 -4
4.359  82  1 1 1
1.776  75  3 3 0
2.770  72  5 1 -1
2.941  71  3 1 -3
1.761  64  7 1 1
3.355  53  2 0 2
2.531  50  3 1 2
2.680  42  2 2 -1
1.770  41  6 2 -4

Structure:
Cell: 15.990 5.734 10.585 Å, 90.00 115.84 90.00°
Space group C2/c (No. 15)
One atom of each set of equivalent atoms:
Mn: 0.181 0.192 0.045 x8
Mo: 0.000 0.305 0.250 x4
P: 0.033 0.044 0.926 x8
P: 0.061 0.360 0.666 x8
P: 0.116 0.448 0.503 x8
P: 0.152 0.177 0.240 x8
P: 0.178 0.175 0.835 x8
P: 0.227 0.176 0.576 x8

4.
The following is a simulated X-ray diffraction stick pattern of MnSnMoP. It was derived from a PBE-relaxed structure, using Cu Kα (λ = 1.5418 Å).

Top 10 peaks for 2θ = 10–80°, by intensity:
d [Å]  intensity  h k l
2.666  100  2 0 0
2.073  89  1 1 2
2.333  77  1 1 -2
2.458  56  0 0 3
1.584  29  3 1 -1
7.369  20  0 0 1
1.331  19  3 1 2
1.369  16  2 0 4
1.622  16  2 0 3
1.589  15  0 2 0

Structure:
Cell: 5.484 3.177 7.591 Å, 90.00 103.89 90.00°
Space group Cm (No. 8)
One atom of each set of equivalent atoms:
Mn: 0.000 0.000 0.000 x2
Sn: 0.071 0.500 0.711 x2
Mo: 0.134 0.000 0.404 x2
P: 0.397 0.000 0.189 x2

5.
The following is a simulated X-ray diffraction stick pattern of PaMnMo2. It was derived from a PBE-relaxed structure, using Cu Kα (λ = 1.5418 Å).

Top 10 peaks for 2θ = 10–80°, by intensity:
d [Å]  intensity  h k l
2.497  100  0 1 2
2.527  92  1 0 1
1.881  78  1 0 10
3.114  45  0 0 9
2.055  44  0 1 8
1.798  38  0 1 11
*/
Muhammad is indeed in the Bible, but the quandary is that to see that, the Message of the Bab and Baha'u'llah are also needed.
The year AH1260, which is AD1844, is the key to all three of those Messages, it is also the clearest Prophecy given at any point in history to date.
The Two Witnesses are Muhammad and Ali and it is foretold that that Message will endure for 1260 years.
"And I will grant authority to my two witnesses, and they will prophesy for twelve hundred and sixty days, clothed in sackcloth. These are the two olive trees and the two lampstands that stand before the Lord of the earth. (Revelation 11:3-4)"
Ezekial chapter 4 verses 5 and 6 establish "each day for a year". . "and thou shalt bear the iniquity of the house of Judah forty days; I have appointed thee each day for a year."
This Message, given by Muhammad is also the "First Woe".
In the end Prophecy uses outward symbols and words to portray spiritual concepts, thus what is required is for us to look deeply within to find meaning.
Like Muhammad and Ali being the two olive trees and the two lampstands, here is an example of what this may portray.
If we meditate upon that symbolism, we can consider that an olive tree denotes a Messenger and from this we can derived an understanding when considering that an olive trees grow to a great age, they have an awesome span, they are a tree of beauty and have a majestic height, what's more they also give life-giving fruits. The bonus is, as a bearer of olives, it is also the source of olive oil used in lamps, and thus a source of light, to which these two Messengers were also the Lampstands that give light.
Regards Tony